## Given
/*
Run w
Density functional theory data (ωB97M-V/def2-TZVPD) for 5 unconnected molecules or ions with the total composition C15H39O14P3.

Structure (XYZ):
```
71
Properties=species:S:1:pos:R:3:lowdin_charge:R:1
C 2.559 -0.813 0.722 -0.13
O 2.504 -0.551 2.090 -0.16
P 2.830 0.918 2.575 0.42
O 2.839 1.869 1.460 -0.22
O 1.473 1.174 3.422 -0.26
C 0.695 2.283 3.065 -0.11
O 3.900 1.062 3.720 -0.20
C 4.315 2.333 4.126 -0.11
H 1.673 -0.412 0.121 0.09
H 2.616 -1.920 0.389 0.13
H 3.318 -0.509 0.291 -0.01
H 0.420 2.054 2.069 0.04
H 1.404 3.210 3.270 0.14
H -0.143 2.070 3.697 0.08
H 4.333 2.986 3.152 0.12
H 5.350 2.243 4.424 0.08
H 3.651 2.841 4.841 0.10
C -1.484 -7.541 -0.452 -0.04
O -1.195 -6.321 0.355 -0.22
P -1.019 -4.924 -0.346 0.39
O -1.057 -4.987 -1.828 -0.24
O -2.428 -4.295 0.229 -0.25
C -3.459 -4.124 -0.616 -0.21
O -0.059 -3.802 0.140 -0.22
C 0.045 -3.579 1.556 -0.06
H -1.598 -8.361 0.206 0.07
H -0.603 -7.565 -1.251 0.13
H -2.210 -7.440 -1.214 0.06
H -3.611 -4.884 -1.546 0.14
H -3.528 -3.050 -1.084 0.11
H -4.340 -4.147 -0.014 0.06
H 0.103 -4.481 2.064 0.07
H -0.840 -3.171 1.953 0.06
H 0.944 -2.880 1.433 0.11
C 3.971 4.418 -1.695 -0.08
O 3.305 3.269 -1.084 -0.23
P 1.672 3.147 -1.154 0.49
O 1.067 3.824 -2.349 -0.27
O 1.455 1.659 -1.416 -0.22
C 1.747 1.110 -2.632 -0.11
O 0.888 3.681 0.263 -0.25
C -0.452 4.169 0.017 -0.14
H 3.339 4.993 -2.378 0.07
H 4.783 4.044 -2.172 0.04
H 4.183 5.316 -0.941 0.13
H 1.421 0.077 -2.549 0.10
H 2.790 1.104 -2.798 0.09
H 1.173 1.431 -3.384 0.04
H -0.352 5.238 -0.415 0.11
H -1.187 4.462 0.808 0.10
H -1.006 3.556 -0.612 0.03
C -4.225 1.522 -2.313 0.01
C -3.152 0.686 -3.194 -0.48
C -1.781 1.277 -3.592 -0.05
O -3.426 -0.335 -3.716 0.07
H -4.277 2.570 -2.446 0.05
H -4.158 1.481 -1.315 -0.01
H -5.252 0.973 -2.691 0.14
H -1.196 1.409 -2.640 0.05
H -1.846 2.409 -4.054 0.14
H -1.162 0.661 -4.326 0.09
C -2.107 -0.256 2.527 -0.02
C -1.827 0.262 1.091 -0.34
C -1.115 -0.724 0.011 0.00
O -1.821 1.526 0.866 -0.02
H -2.501 0.499 3.178 0.07
H -1.079 -0.353 2.984 0.10
H -2.719 -1.144 2.263 0.09
H -0.029 -1.270 0.220 0.09
H -0.974 -0.270 -1.017 0.06
H -1.549 -1.709 -0.363 0.06
```

Output
SMILES: COP(=O)(OC)OC.COP(=O)(OC)OC.COP(=O)(OC)OC.CC(C)=O.CC(C)=O
LUMO level: 0.53 eV
HOMO energy: -0.34298 hartree
multiplicity: 1



Run x
Density functional theory data (ωB97M-V/def2-TZVPD) for 5 unconnected molecules or ions with the total composition C15H39O14P3.

Structure (XYZ):
```
71
Properties=species:S:1:pos:R:3:lowdin_charge:R:1
C -0.765 -0.229 -5.111 -0.15
O 0.357 0.575 -4.814 -0.22
P 0.100 2.055 -4.278 0.31
O -0.458 2.891 -5.376 -0.25
O -1.004 1.927 -3.075 -0.18
C -0.682 1.214 -1.923 -0.12
O 1.333 2.685 -3.840 -0.17
C 1.412 4.049 -3.496 -0.06
H -0.476 -1.079 -5.845 0.11
H -1.427 0.458 -5.827 0.12
H -1.564 -0.567 -4.288 0.12
H -1.216 1.704 -1.107 0.09
H 0.307 1.482 -1.614 0.08
H -0.744 0.156 -1.934 0.06
H 2.499 4.216 -3.144 0.13
H 0.761 4.192 -2.805 0.01
H 1.200 4.803 -4.399 0.15
C 1.393 3.211 0.875 -0.07
O 0.064 3.113 1.360 -0.17
P -0.213 2.877 2.892 0.54
O -0.657 4.189 3.454 -0.26
O -1.313 1.669 3.239 -0.21
C -2.596 1.992 2.817 -0.21
O 1.066 2.505 3.904 -0.23
C 0.801 2.101 5.182 -0.15
H 2.071 2.626 1.353 0.04
H 1.773 4.165 1.188 0.10
H 1.441 3.389 -0.091 0.04
H -3.207 2.907 3.189 0.15
H -3.335 1.183 2.904 0.10
H -2.585 1.960 1.634 0.06
H 0.558 1.086 5.267 0.06
H 0.097 2.783 5.639 0.10
H 1.696 2.188 5.741 0.08
C 3.949 0.040 1.531 -0.09
O 3.153 -0.441 2.572 -0.16
P 1.686 -0.862 2.327 0.52
O 0.917 0.296 1.869 -0.24
O 1.492 -1.957 1.155 -0.18
C 1.133 -1.607 -0.110 -0.14
O 0.874 -1.417 3.719 -0.22
C -0.509 -1.543 3.667 -0.18
H 3.522 0.874 0.977 0.08
H 4.297 -0.570 0.569 0.15
H 4.760 0.242 2.072 0.05
H 0.040 -1.781 -0.333 0.08
H 1.448 -2.471 -0.750 0.10
H 1.544 -0.836 -0.526 0.03
H -0.904 -2.201 4.607 0.14
H -0.894 -2.091 2.710 0.10
H -1.292 -0.786 3.734 0.06
C -3.418 0.782 0.707 -0.07
C -3.376 -0.649 0.256 -0.39
C -2.018 -1.171 -0.290 0.00
O -4.433 -1.298 0.180 0.04
H -2.888 0.999 1.656 -0.05
H -4.532 1.264 0.910 0.18
*/

## Request
Now restate the notes earlier on with every line break kept.

## Here it is
Run w
Density functional theory data (ωB97M-V/def2-TZVPD) for 5 unconnected molecules or ions with the total composition C15H39O14P3.

Structure (XYZ):
```
71
Properties=species:S:1:pos:R:3:lowdin_charge:R:1
C 2.559 -0.813 0.722 -0.13
O 2.504 -0.551 2.090 -0.16
P 2.830 0.918 2.575 0.42
O 2.839 1.869 1.460 -0.22
O 1.473 1.174 3.422 -0.26
C 0.695 2.283 3.065 -0.11
O 3.900 1.062 3.720 -0.20
C 4.315 2.333 4.126 -0.11
H 1.673 -0.412 0.121 0.09
H 2.616 -1.920 0.389 0.13
H 3.318 -0.509 0.291 -0.01
H 0.420 2.054 2.069 0.04
H 1.404 3.210 3.270 0.14
H -0.143 2.070 3.697 0.08
H 4.333 2.986 3.152 0.12
H 5.350 2.243 4.424 0.08
H 3.651 2.841 4.841 0.10
C -1.484 -7.541 -0.452 -0.04
O -1.195 -6.321 0.355 -0.22
P -1.019 -4.924 -0.346 0.39
O -1.057 -4.987 -1.828 -0.24
O -2.428 -4.295 0.229 -0.25
C -3.459 -4.124 -0.616 -0.21
O -0.059 -3.802 0.140 -0.22
C 0.045 -3.579 1.556 -0.06
H -1.598 -8.361 0.206 0.07
H -0.603 -7.565 -1.251 0.13
H -2.210 -7.440 -1.214 0.06
H -3.611 -4.884 -1.546 0.14
H -3.528 -3.050 -1.084 0.11
H -4.340 -4.147 -0.014 0.06
H 0.103 -4.481 2.064 0.07
H -0.840 -3.171 1.953 0.06
H 0.944 -2.880 1.433 0.11
C 3.971 4.418 -1.695 -0.08
O 3.305 3.269 -1.084 -0.23
P 1.672 3.147 -1.154 0.49
O 1.067 3.824 -2.349 -0.27
O 1.455 1.659 -1.416 -0.22
C 1.747 1.110 -2.632 -0.11
O 0.888 3.681 0.263 -0.25
C -0.452 4.169 0.017 -0.14
H 3.339 4.993 -2.378 0.07
H 4.783 4.044 -2.172 0.04
H 4.183 5.316 -0.941 0.13
H 1.421 0.077 -2.549 0.10
H 2.790 1.104 -2.798 0.09
H 1.173 1.431 -3.384 0.04
H -0.352 5.238 -0.415 0.11
H -1.187 4.462 0.808 0.10
H -1.006 3.556 -0.612 0.03
C -4.225 1.522 -2.313 0.01
C -3.152 0.686 -3.194 -0.48
C -1.781 1.277 -3.592 -0.05
O -3.426 -0.335 -3.716 0.07
H -4.277 2.570 -2.446 0.05
H -4.158 1.481 -1.315 -0.01
H -5.252 0.973 -2.691 0.14
H -1.196 1.409 -2.640 0.05
H -1.846 2.409 -4.054 0.14
H -1.162 0.661 -4.326 0.09
C -2.107 -0.256 2.527 -0.02
C -1.827 0.262 1.091 -0.34
C -1.115 -0.724 0.011 0.00
O -1.821 1.526 0.866 -0.02
H -2.501 0.499 3.178 0.07
H -1.079 -0.353 2.984 0.10
H -2.719 -1.144 2.263 0.09
H -0.029 -1.270 0.220 0.09
H -0.974 -0.270 -1.017 0.06
H -1.549 -1.709 -0.363 0.06
```

Output
SMILES: COP(=O)(OC)OC.COP(=O)(OC)OC.COP(=O)(OC)OC.CC(C)=O.CC(C)=O
LUMO level: 0.53 eV
HOMO energy: -0.34298 hartree
multiplicity: 1



Run x
Density functional theory data (ωB97M-V/def2-TZVPD) for 5 unconnected molecules or ions with the total composition C15H39O14P3.

Structure (XYZ):
```
71
Properties=species:S:1:pos:R:3:lowdin_charge:R:1
C -0.765 -0.229 -5.111 -0.15
O 0.357 0.575 -4.814 -0.22
P 0.100 2.055 -4.278 0.31
O -0.458 2.891 -5.376 -0.25
O -1.004 1.927 -3.075 -0.18
C -0.682 1.214 -1.923 -0.12
O 1.333 2.685 -3.840 -0.17
C 1.412 4.049 -3.496 -0.06
H -0.476 -1.079 -5.845 0.11
H -1.427 0.458 -5.827 0.12
H -1.564 -0.567 -4.288 0.12
H -1.216 1.704 -1.107 0.09
H 0.307 1.482 -1.614 0.08
H -0.744 0.156 -1.934 0.06
H 2.499 4.216 -3.144 0.13
H 0.761 4.192 -2.805 0.01
H 1.200 4.803 -4.399 0.15
C 1.393 3.211 0.875 -0.07
O 0.064 3.113 1.360 -0.17
P -0.213 2.877 2.892 0.54
O -0.657 4.189 3.454 -0.26
O -1.313 1.669 3.239 -0.21
C -2.596 1.992 2.817 -0.21
O 1.066 2.505 3.904 -0.23
C 0.801 2.101 5.182 -0.15
H 2.071 2.626 1.353 0.04
H 1.773 4.165 1.188 0.10
H 1.441 3.389 -0.091 0.04
H -3.207 2.907 3.189 0.15
H -3.335 1.183 2.904 0.10
H -2.585 1.960 1.634 0.06
H 0.558 1.086 5.267 0.06
H 0.097 2.783 5.639 0.10
H 1.696 2.188 5.741 0.08
C 3.949 0.040 1.531 -0.09
O 3.153 -0.441 2.572 -0.16
P 1.686 -0.862 2.327 0.52
O 0.917 0.296 1.869 -0.24
O 1.492 -1.957 1.155 -0.18
C 1.133 -1.607 -0.110 -0.14
O 0.874 -1.417 3.719 -0.22
C -0.509 -1.543 3.667 -0.18
H 3.522 0.874 0.977 0.08
H 4.297 -0.570 0.569 0.15
H 4.760 0.242 2.072 0.05
H 0.040 -1.781 -0.333 0.08
H 1.448 -2.471 -0.750 0.10
H 1.544 -0.836 -0.526 0.03
H -0.904 -2.201 4.607 0.14
H -0.894 -2.091 2.710 0.10
H -1.292 -0.786 3.734 0.06
C -3.418 0.782 0.707 -0.07
C -3.376 -0.649 0.256 -0.39
C -2.018 -1.171 -0.290 0.00
O -4.433 -1.298 0.180 0.04
H -2.888 0.999 1.656 -0.05
H -4.532 1.264 0.910 0.18